Objective sponsored event a resounding success

In December 2021, Objective sponsored The RegTech Association’s inaugural government focussed event – RegTech for Better Government. The blend of stellar presenters and panellists proved a winning combination.

The Hon. Victor Dominello, Minister for Digital and Customer Service, opened the event and handed over to Ben Hobby, Global VP RegTech at Objective to host the impressive line-up of government case studies and panel discussion.

Australia is the third largest segment of RegTech producers in the world and the Government sector represents a significant opportunity. The need for a collaborative space to showcase the potential while discussing the challenges is what the event aimed to achieve - for learning, connection and future collaboration.

Insights from the polls

The high level of participant engagement, particularly during the polling, evidenced the appetite for a government focussed event. We aimed to create a forum where attendees felt free to offer their opinion, but also learn from their peers.

What do you see as the biggest barrier(s) to adopting RegTech? 



Lack of knowledge as to what is available


Securing additional budget


Not a priority right now as resources too constrained meeting current demands




Concerns around community acceptance of new approaches and technology


Current systems are adequate and doing the job


A total of 48 attendees answered, 21 % of the total number.

What RegTech topics are you interested in hearing more about?

Misplaced records of crystals.
(1)
This entry pairs a crystal structure of MgTe2Mo2W2Se4S2 with its computed XRD peak list. Radiation: Cu Kα (λ = 1.5418 Å). Structure: DFT lattice parameters and positions (PBE).

Largest 12 diffraction maxima, sorted by position, 2θ from 15° to 90°:
d [Å], I/Imax, index
2.888, 57, 1 0 0
2.866, 15, 0 1 2
2.755, 35, 1 0 5
2.702, 19, 0 1 6
2.579, 79, 1 0 8
2.374, 32, 0 1 11
2.234, 100, 1 0 13
2.166, 35, 0 1 14
1.910, 22, 0 0 24
1.668, 44, 1 1 0
1.641, 30, 1 1 5
1.337, 19, 0 2 13

Atomic structure:
a = 3.3359 Å, b = 3.3359 Å, c = 45.8245 Å
α = 90.00°, β = 90.00°, γ = 120.00°
Space group P3m1 (No. 156)
Inequivalent atoms, fractional coordinates:
1 Mg 0.0000 0.0000 0.0000 x1
2 Te 0.6667 0.3333 0.4848 x1
3 Te 0.6667 0.3333 0.5677 x1
4 Mo 0.3333 0.6667 0.5263 x1
5 Mo 0.6667 0.3333 0.7146 x1
6 W 0.3333 0.6667 0.8948 x1
7 W 0.6667 0.3333 0.0978 x1
8 Se 0.3333 0.6667 0.6781 x1
9 Se 0.3333 0.6667 0.7510 x1
10 Se 0.6667 0.3333 0.8582 x1
11 Se 0.6667 0.3333 0.9317 x1
12 S 0.3333 0.6667 0.0644 x1
13 S 0.3333 0.6667 0.1309 x1



(2)
This entry pairs a crystal structure of AcEuMg2 with its computed XRD peak list. Radiation: Cu Kα (λ = 1.5418 Å). Structure: DFT lattice parameters and positions (PBE).

Largest 12 diffraction maxima, sorted by position, 2θ from 15° to 90°:
d [Å], I/Imax, index
4.083, 67, 2 0 0
2.887, 100, 2 2 0
2.358, 22, 2 2 2
2.042, 19, 4 0 0
1.826, 31, 4 2 0
1.667, 40, 4 2 2
1.444, 12, 4 4 0
1.361, 15, 6 0 0
1.291, 17, 6 2 0
1.231, 9, 6 2 2
1.133, 7, 6 4 0
1.091, 21, 6 4 2

Atomic structure:
a = 8.1670 Å, b = 8.1670 Å, c = 8.1670 Å
α = 90.00°, β = 90.00°, γ = 90.00°
Space group Fm-3m (No. 225)
Inequivalent atoms, fractional coordinates:
1 Ac 0.0000 0.0000 0.0000 x4
2 Eu 0.0000 0.0000 0.5000 x4
3 Mg 0.2500 0.2500 0.2500 x8



(3)
This entry pairs a crystal structure of Nd3Ge13Rh4 with its computed XRD peak list. Radiation: Cu Kα (λ = 1.5418 Å). Structure: DFT lattice parameters and positions (PBE).

Largest 12 diffraction maxima, sorted by position, 2θ from 15° to 90°:
d [Å], I/Imax, index
2.632, 20, 2 2 2
2.529, 100, 3 2 0
2.437, 40, 3 2 1
2.280, 32, 4 0 0
2.212, 11, 4 1 0
2.039, 13, 4 2 0
1.861, 23, 4 2 2
1.612, 10, 4 4 0
1.564, 12, 4 3 3
1.479, 14, 5 3 2
1.375, 21, 6 2 2
1.253, 10, 6 4 1

Atomic structure:
a = 9.1185 Å, b = 9.1185 Å, c = 9.1185 Å
α = 90.00°, β = 90.00°, γ = 90.00°
Space group Pm-3n (No. 223)
Inequivalent atoms, fractional coordinates:
1 Nd 0.0000 0.2500 0.5000 x6
2 Ge 0.0000 0.0000 0.0000 x2
3 Ge 0.0000 0.3083 0.1496 x24
4 Rh 0.2500 0.2500 0.2500 x8



Q: Which formula does entry 1 have?
A: MgTe2Mo2W2Se4S2

* * * * *

No. 1
Structure and theoretical powder XRD pattern of Cs6PdCl (a structure optimized by DFT (PBE); CuKα).

Peak list (12 most intense, 2θ = 15–90°, in order of falling intensity)
2theta	intensity
22.4	100
29.1	33
34.5	28
37.8	25
21.1	18
41.5	16
40.8	15
56.3	13
55.1	12
58.5	10
52.1	9
19.7	8

```
data_Cs6PdCl
_chemical_formula_sum 'Cs12 Pd2 Cl2'
_cell_length_a 9.0045
_cell_length_b 9.0045
_cell_length_c 16.8113



Case studies from your peers who have successfully implemented a RegTech solution


How to implement a successful RegTech project


Learning more about what is available in the market


Building a business case for RegTech


A total of 38 attendees answered, 16.6% of the total number.

The top percentages from each poll tell us that there is a lack of awareness about ‘RegTech’ and the innovative solutions it can offer. Showcasing our customers’ successful implementation of their RegTech solutions will help demystify RegTech (regulatory software) and illustrate how RegTech can solve so many common regulatory challenges. Watch this space!

The feedback we have received, both via the satisfaction poll on the day, and post-event, has been fantastic. There’s an insightful and clear indication on the barriers to adoption, and clear feedback that more case studies and practical examples of RegTech projects would be beneficial to future events. Undoubtedly this event has hit a sweet spot and the appetite to continue the program is high.

Deborah Young

CEO, The RegTech Association

The tide turns on wage theft in Victoria

A highlight of the event was Wage Inspectorate Victoria’s (WIV) case study of the need for a regulatory solution to help solve the problem of employee underpayment in their State. WIV was established as a new statutory authority with powers to investigate and prosecute wage theft offences. As part of its role, it helps businesses understand their obligations and investigates non-compliance, as well as reports from employees.

Robert Hortle, Commissioner of Wage Inspectorate Victoria provided some excellent tips for implementing a RegTech solution in his presentation:

  • Define a minimum viable product and stick to it
  • Include a dedicated SME in the project team
  • Embed good change management, including training and communications

Following these tips helped both WIV and Objective to keep the project on track and hit the imperative July 1st 2020 deadline. WIV have adopted the new system and are reaping the benefits of:

  • An integrated customer portal for a seamless end-to-end customer experience
  • Access via mobile to enable digital capture of information in the field
  • Easy configuration with no-code workflows
  • Comprehensive operational reporting to help facilitate better decisions and ensure compliance

"We were previously using a generic platform that didn’t suit our purposes, so using Objective RegWorks has been a huge improvement," said Robert Hortle, Commissioner of Wage Inspectorate Victoria. "The team has really enjoyed using the platform from the outset, something I wasn’t expecting so soon."

WIV is now at the forefront of a growing software segment and are showcasing the outstanding outcomes of using technology to better manage regulation.

Objective RegWorks has been a huge improvement. The team has really enjoyed using the platform from the outset, something I wasn’t expecting so soon.

Robert Hortle

Next to the entry, the page also holds calculated crystals =
____________
Record 1
The following is a computed PXRD pattern of LiNd12Ga6. It was derived from a GGA-PBE-relaxed structure, using Cu Kα, 1.54184 Å.

Main lines, in order of falling intensity (2θ = 10–90°):
2θ (°)	I/Imax
32.44	100
43.44	47
28.09	35
26.41	29
27.09	26
35.38	25
30.69	24
32.25	23
31.68	22
21.07	19

Structure:
a b c (Å): 9.0100 9.0100 9.0100
angles (deg): 108.27 108.27 108.27
Atoms (fractional coordinates):
Li1 0.0000 0.0000 0.0000
Nd1 0.0064 0.8582 0.3108
Nd2 0.1276 0.3698 0.4649
Nd3 0.1418 0.6892 0.9936
Nd4 0.3108 0.0064 0.8582
Nd5 0.3698 0.4649 0.1276
Nd6 0.4649 0.1276 0.3698
Nd7 0.5351 0.8724 0.6302
Nd8 0.6302 0.5351 0.8724
Nd9 0.6892 0.9936 0.1418
Nd10 0.8582 0.3108 0.0064
Nd11 0.8724 0.6302 0.5351
Nd12 0.9936 0.1418 0.6892
Ga1 0.1850 0.6291 0.3206
Ga2 0.3206 0.1850 0.6291
Ga3 0.3709 0.6794 0.8150
Ga4 0.6291 0.3206 0.1850
Ga5 0.6794 0.8150 0.3709
Ga6 0.8150 0.3709 0.6794

Record 2
The following is a computed PXRD pattern of CsTc3Bi. It was derived from a GGA-PBE-relaxed structure, using Cu Kα, 1.54184 Å.

Main lines, in order of falling intensity (2θ = 10–90°):
2θ (°)	I/Imax
33.97	100
48.80	72
23.84	66
16.80	42
81.56	32
41.92	31
29.31	25
60.79	25
38.12	23
66.25	17

Structure:
a b c (Å): 5.2784 5.2784 5.2784
angles (deg): 90.00 90.00 90.00
Atoms (fractional coordinates):
Cs1 0.0000 0.0000 0.0000
Tc1 0.0000 0.5000 0.5000
Tc2 0.5000 0.0000 0.5000
Tc3 0.5000 0.5000 0.0000
Bi1 0.5000 0.5000 0.5000

Number 1 is which compound? LiNd12Ga6

~~~~~

(1)
Starting from a structure optimized by DFT (GGA-PBE), the PXRD pattern of Rb2PrAlTe4 was computed for copper Kα.
Peak positions follow from Bragg's law for the DFT cell and can differ from measured ones.

Structure:
```
data_Rb2PrAlTe4
_symmetry_space_group_name_H-M 'I m m a'
_symmetry_Int_Tables_number 74
_symmetry_space_group_name_Hall '-I 2b 2'
_cell_length_a 9.060
_cell_length_b 9.707
_cell_length_c 13.415
_cell_angle_alpha 90.00
_cell_angle_beta 90.00
_cell_angle_gamma 90.00
loop_
_atom_site_label
_atom_site_fract_x
_atom_site_fract_y
_atom_site_fract_z
_atom_site_occupancy
Rb1 0.000 0.000 0.000 1
Rb2 0.250 0.250 0.250 1
Pr1 0.000 0.000 0.500 1
Al1 0.250 0.250 0.750 1
Te1 0.000 0.055 0.741 1
Te2 0.230 0.250 0.526 1
```

The 8 most intense peaks (2θ from 10° to 90°), sorted by position:
2θ (°)	Rel. int.	hkl
26.58	52	0 0 4
26.92	100	2 2 0
29.54	17	2 1 3
38.19	67	2 2 4
39.80	19	4 0 0
48.48	27	4 0 4
55.47	16	4 4 0
62.54	16	4 4 4



(2)
Starting from a structure optimized by DFT (GGA-PBE), the PXRD pattern of PrAl3Rh was computed for copper Kα.
Peak positions follow from Bragg's law for the DFT cell and can differ from measured ones.

Structure:
```
data_PrAl3Rh
_symmetry_space_group_name_H-M 'P 4 m m'
_symmetry_Int_Tables_number 99
_cell_length_a 4.354
_cell_length_b 4.354
_cell_length_c 5.291
_cell_angle_alpha 90.00
_cell_angle_beta 90.00
_cell_angle_gamma 90.00
loop_
_symmetry_equiv_pos_as_xyz
'x,y,z'
'-y,x,z'
'-x,-y,z'
'y,-x,z'
'-x,y,z'
'y,x,z'
'x,-y,z'
'-y,-x,z'
loop_
_atom_site_label
____________
End of the calculated crystals =

Commissioner of Wage Inspectorate Victoria

Connect for Safety

Briony Foster, Executive District Director, Sydney, South Eastern Sydney and Northern Sydney Districts, Department of Communities and Justice (DCJ) took us through their adoption of the Objective Reach solution – Connect for Safety. This RegTech software has helped child protection agencies across Australia securely share vital information, make better decisions and improve child safety.

One of the main challenges to information sharing in Australia was the different technologies and methods used by each state and territory agency. It meant information was hard to find, match and share across systems, and there was no market-ready solution available to address this. Vulnerable children were slipping through the cracks.

In 2017, Business Research and Innovation Initiative (BRII) provided the opportunity to get this complex challenge solved. Objective won the initiative and have provided a solution that now helps trigger vital early action, facilitate better coordination across agencies and inform critical decisions to help improve child safety outcomes.

Collaboration continues

We’re so pleased with the success of the event and the level of interest in RegTech. There were valuable take-aways for both attendees and presenters, and a clear indication of growth to come in this space. We look forward to supporting more events by The RegTech Association in 2022, and helping to promote the vital need for regulatory software to solve many societal challenges.

Watch the full webinar now